The US Army and its main battle tank. M1A2C Abrams Program Successes

The US Army and its main battle tank. M1A2C Abrams Program Successes
The US Army and its main battle tank. M1A2C Abrams Program Successes

Currently, the US defense industry is preparing for the serial modernization of the Abrams main battle tanks according to the latest project M1A2C (previously the designation M1A2 SEP v.3 was used). The first tanks, which were upgraded on a serial basis, have already entered the troops, and work continues. In recent days, there have been several interesting reports about the progress of the modernization program and its results.

According to the manufacturer

On May 21, the American media published curious data from the Joint Systems Manufacturing Center (Lima Army Tank Plant, LATP), which is responsible for the modernization of the Abrams MBT. The management of the company announced that the production of the first brigade set of M1A2C tanks will be completed this summer.

The US Army and its main battle tank. M1A2C Abrams Program Successes
The US Army and its main battle tank. M1A2C Abrams Program Successes

Tank M1A2 SEP v.3. Photo

The completion of the production of tanks for the rearmament of an entire brigade is considered an important milestone in the history of the project. One of the formations of the army will be able to begin to fully master the latest technology, which will have a beneficial effect on its combat effectiveness and the potential of the army as a whole.

To fulfill the current order for M1A2C tanks, the plant in Lima has to expand its staff. In 2016, JSMC employed less than 500 people. By the end of last year, the number of employees exceeded 600. By the end of this year, the company will have at least 700 jobs. In 2020, it is planned to recruit another hundred employees. Thus, in less than five years, the number of workers should almost double with a corresponding increase in productivity.

However, the plant faces some difficulties. When looking for employees, he has to compete with other large enterprises in the region. The JSMC management considers such circumstances to be beneficial for the economy, but problematic for specific organizations. In addition, the state tank-building enterprise has to screen candidates before hiring. Depending on the position, checks take up to four months.

The opinion of the tankers

On May 23, the Defense Blog published new data on the progress of the test and verification program of the upgraded MBT. It managed to communicate with the participants in the military tests of the M1A2C / M1A2 SEP v.3 tank and published the most remarkable details.

# Next to the entry, the page also holds calculated molecules
'''
The following is a DFT calculation (ωB97M-V with the def2-TZVPD basis set) of a molecular structure, C32H20Br2I2MgN4O5Se at a distorted geometry.

Each line ends with the natural charge from an NBO analysis.
Atoms and positions in Å:
Mg  0.490  -1.248  -1.135  1.760
I  0.891  3.806  -2.499  0.061
C  2.363  2.406  -1.933  -0.288
C  3.681  2.807  -1.884  -0.238
C  4.653  1.907  -1.519  -0.215
I  6.666  2.595  -1.384  0.021
C  4.337  0.575  -1.227  -0.050
C  5.262  -0.429  -0.882  -0.180
C  4.823  -1.700  -0.629  -0.252
C  3.451  -1.975  -0.705  0.067
N  2.582  -1.054  -1.021  -0.485
C  2.968  0.186  -1.290  0.065
C  1.904  1.108  -1.641  0.450
O  0.704  0.762  -1.675  -0.773
H  3.949  3.821  -2.144  0.222
H  6.318  -0.195  -0.827  0.208
H  5.523  -2.480  -0.368  0.206
H  3.056  -2.961  -0.510  0.249
Br  -5.361  3.400  -1.232  0.011
C  -4.030  2.128  -1.776  -0.017
C  -2.956  2.555  -2.539  -0.311
C  -2.031  1.580  -2.906  0.096
N  -2.113  0.325  -2.544  -0.394
C  -3.138  -0.067  -1.796  0.271
C  -4.159  0.809  -1.399  -0.325
C  -3.128  -1.477  -1.395  0.174
C  -4.270  -2.271  -1.545  -0.302
C  -4.152  -3.598  -1.187  -0.031
Br  -5.639  -4.772  -1.433  0.004
C  -2.983  -4.088  -0.649  -0.258
C  -1.916  -3.198  -0.525  0.110
N  -1.980  -1.943  -0.908  -0.448
H  -2.830  3.586  -2.830  0.230
H  -1.196  1.834  -3.538  0.219
H  -4.991  0.470  -0.798  0.231
H  -5.185  -1.872  -1.963  0.222
H  -2.876  -5.124  -0.371  0.230
H  -0.971  -3.514  -0.111  0.272
N  0.185  -0.681  0.706  -0.837
C  0.052  0.122  1.635  0.122
C  0.074  -0.327  3.068  0.022
C  -0.598  0.363  4.073  -0.238
C  -0.600  -0.119  5.371  -0.238
C  0.079  -1.283  5.684  -0.239
C  0.755  -1.973  4.689  -0.234
C  0.740  -1.508  3.388  -0.202
C  -0.113  1.600  1.445  -0.081
C  -1.131  2.107  0.645  -0.128
C  -1.244  3.470  0.447  -0.238
C  -0.341  4.346  1.030  -0.231
C  0.685  3.845  1.811  -0.227
C  0.798  2.482  2.018  -0.213
H  -1.129  1.275  3.835  0.210
H  -1.134  0.419  6.144  0.190
H  0.068  -1.662  6.699  0.187
H  1.291  -2.880  4.935  0.195
H  1.230  -2.038  2.582  0.243
'''

According to the Defense Blog, the inspection of tanks in real military operation was carried out by the personnel of the 2nd battalion of the 8th cavalry regiment of the 1st tank brigade. This unit has extensive experience in the operation of armored vehicles and took part in several local conflicts in recent decades. In addition, it is armed with the newest versions of the M1 Abrams tanks.

Now the main armored vehicle of the 2nd battalion is the M1A2 SEP v.2 tank. For military tests, he was given one of the experimental vehicles of the SEP v.3 version. The battalion recently returned from Europe, where it took part in Operation Atlantic Resolve. As part of this deployment, the unit's personnel performed many different exercises using two MBT models, including the latest M1A2C vehicle. The inspection of the received tank lasted about 9 months.


Modernized tank in the JSMC workshop, February 2019 Photo

It was the operating experience of the M1A2 SEP v.2 tanks that made it possible to carry out full-fledged military tests of new equipment. Tankers familiar with the previous modification were able to better understand the differences between the new M1A2C and more fully appreciate its advantages. The upgraded tanks were used in various combat training activities, and in all cases, the collection of the necessary data was ensured.

Military tests confirmed the correctness of the applied design solutions and showed the advantages of the upgraded MBT over previous modifications. In addition, the vehicle received good marks in terms of the comfort of the crew and technical personnel.

The completion of military tests is an important step towards the future full-scale modernization and operation of the updated tanks. Already this year, the US Army will receive the first brigade set of M1A2C tanks, and when mastering this technique, tankers will benefit from the experience of the 2nd battalion of the 8th regiment, which recently studied a pre-production model.

Production successes

It should be noted that the latest news about the M1A2C project looks extremely interesting. Messages about the successful conduct of military tests were expected and obvious. News from the JSMC plant in Lima is also cause for optimism. The latest successes of this enterprise are in line with the customer's expectations, and he does not have to worry about fulfilling the terms of the current contract.

In February, the first photographs of the upgraded M1A2C / SEP v.3 tanks appeared in the public domain. It was argued that no more than 6-10 armored vehicles were already ready. According to the announced plans, by the end of the year the industry should renew and transfer up to 135 tanks to the army. Recent reports show a sharp rise in production rates.

No later than this summer, the JSMC plant undertakes to supply the troops with the first brigade set of new tanks. To equip one tank brigade, 87 tanks are needed. Until the end of February, they managed to rebuild no more than a dozen cars. Thus, in about six months, the Lima plant should modernize about 80 tanks. The release of the first brigade kit is spoken of almost as a fait accompli. Apparently, the recruitment of new employees made it possible to bring the production capacity to the required level and ensure the renewal of 13-15 Abrams per month. This is not an absolute record, but against the background of the previous activities of JSMC / LATP it looks very worthy.


Prototype at the test site. Photo Leonardo DRS /

While maintaining the same production rates, in the fall and early winter, by the end of the current calendar year, the plant in Lima will have time to produce another fifty modernized M1A2Cs. Thus, the order for this year in the size of 135 MBT will be successfully completed and, possibly, overfulfilled.

Over 160 tanks are planned for the next year. Thus, the JSMC plant will again have to increase the pace of work. However, apparently, this will not be a problem. By recruiting new employees and using the existing production capacity, the company will be able to increase the pace of work with an understandable result.

Plans for the distant future have not yet been published. The US Armed Forces have approximately 1500-1600 M1A2 tanks of several modifications, and a significant number of these machines can go for modernization under the SEP v.3 / M1A2C project. This means that over the next few years, the plant in Lima will have to produce at least 130-150 upgraded MBTs annually.

Optimistic estimates

The latest news suggests that the US Army has no cause for concern in the context of the modernization program for the M1A2 Abrams main battle tanks. The equipment has passed all the necessary stages of testing and entered the series. The contractor has already reached the desired pace of work. The first set of equipment for the rearmament of one of the brigades will be ready in the coming months. Nothing threatens the further execution of contracts.

In the medium term, the US Army will receive the desired number of upgraded MBT M1A2C / M1A2 SEP v. 3, sufficient to update the vehicle fleet of several armored formations. Simultaneously with the upgrade of combat vehicles to the M1A2C version, a new modernization project will be developed - M1A2D or M1A2 SEP v.4. Some features of this improvement of technology are already known, but it is still far from its implementation. In the coming years, the focus will be on the current M1A2C project.
